
PfBcert is a DIN EN ISO/IEC 17065 accredited certification body in the field of product certification and part of PfB GmbH & Co. Prüfzentrum für Bauelemente KG.

PfBcert is also a recognised monitoring and certification body in accordance with the State Building Code (Landesbauordnung) for building products/types of construction in accordance with the “General Building Authority Approval/General Construction Type Approval” (Allgemein bauaufsichtliche Zulassung/Allgemeine Bauartgenehmigung) of the DIBt Berlin.

As an impartial and independent certification body, PfBcert helps to ensure that construction products comply with European and national requirements and can be used safely. Manufacturers of construction products/types of construction receive testing, monitoring and certification services from competent and dedicated PfBcert staff.

PfB offers its portfolio in terms of certification together with TÜV NORD GROUP and DMT GROUP.

Download the joint portfolio pdf. (German)



accredited and notified according to DIN EN ISO/IEC 17065

-- begin --
1.
Computed, not measured: crystalline Li5Mn5P6O24 at its relaxed geometry at the PBE+U level of DFT.

Cell lengths 8.531, 8.588, 8.701 Å; angles 61.97, 62.46, 61.52 degrees
Element x y z (fractional)
Li1 0.000 0.000 0.000
Li2 0.018 0.350 0.824
Li3 0.177 0.352 0.472
Li4 0.504 0.046 0.908
Li5 0.667 0.536 0.796
Mn1 0.200 0.542 0.014
Mn2 0.354 0.685 0.173
Mn3 0.491 0.845 0.308
Mn4 0.700 0.056 0.519
Mn5 0.861 0.195 0.659
P1 0.092 0.141 0.221
P2 0.311 0.945 0.716
P3 0.403 0.448 0.604
P4 0.592 0.236 0.108
P5 0.802 0.739 0.909
P6 0.884 0.665 0.408
O1 0.037 0.163 0.068
O2 0.088 0.634 0.270
O3 0.119 0.108 0.717
O4 0.149 0.303 0.188
O5 0.250 0.391 0.625
O6 0.262 0.949 0.238
O7 0.273 0.795 0.913
O8 0.371 0.501 0.764
O9 0.375 0.875 0.560
O10 0.432 0.438 0.086
O11 0.434 0.604 0.414
O12 0.462 0.004 0.707
O13 0.526 0.088 0.127
O14 0.597 0.278 0.599
O15 0.602 0.767 0.056
O16 0.637 0.196 0.275
O17 0.743 0.721 0.314
O18 0.753 0.255 0.925
O19 0.784 0.942 0.770
O20 0.836 0.591 0.839
O21 0.839 0.816 0.484
O22 0.887 0.473 0.563
O23 0.938 0.121 0.412
O24 0.962 0.695 0.979

=====

2.
Computed, not measured: crystalline Li3Mn3P4O16 at its relaxed geometry at the PBE+U level of DFT.

Cell lengths 6.142, 11.575, 8.411 Å; angles 90.00, 100.12, 90.00 degrees
Element x y z (fractional)
Li1 0.129 0.000 0.444
Li2 0.136 0.300 0.148
Li3 0.369 0.208 0.548
Li4 0.631 0.708 0.452
Li5 0.864 0.800 0.852
Li6 0.871 0.500 0.556
Mn1 0.076 0.687 0.219
Mn2 0.364 0.913 0.842
Mn3 0.413 0.514 0.778
Mn4 0.587 0.014 0.222
Mn5 0.636 0.413 0.158
Mn6 0.924 0.187 0.781
P1 0.067 0.019 0.094
P2 0.136 0.732 0.583
P3 0.374 0.474 0.411
P4 0.448 0.187 0.898
P5 0.552 0.687 0.102
P6 0.626 0.974 0.589
P7 0.864 0.232 0.417
P8 0.933 0.519 0.906
O1 0.007 0.139 0.015
O2 0.081 0.170 0.412
O3 0.106 0.926 0.968
O4 0.118 0.476 0.816
O5 0.133 0.838 0.699
O6 0.139 0.786 0.413
O7 0.157 0.539 0.353
O8 0.232 0.182 0.772
O9 0.276 0.025 0.229
O10 0.346 0.661 0.643
O11 0.362 0.414 0.577
O12 0.376 0.718 0.204
O13 0.393 0.378 0.280
O14 0.410 0.040 0.582
O15 0.438 0.279 0.025
O16 0.496 0.061 0.977
O17 0.504 0.561 0.023
O18 0.562 0.779 0.975
O19 0.590 0.540 0.418
O20 0.607 0.878 0.720
O21 0.624 0.218 0.796
O22 0.638 0.914 0.423
O23 0.654 0.161 0.357
O24 0.724 0.525 0.771
O25 0.768 0.682 0.228
O26 0.843 0.039 0.647
O27 0.861 0.286 0.587
O28 0.867 0.338 0.301
O29 0.882 0.976 0.184
O30 0.894 0.426 0.032
O31 0.919 0.670 0.588
O32 0.993 0.639 0.985

Properties
E above lowest polymorph	45	meV/atom

=====

3.
Computed, not measured: crystalline LiMnP2O7 at its relaxed geometry at the PBE+U level of DFT.

Cell lengths 9.739, 9.748, 11.229 Å; angles 78.44, 89.78, 89.80 degrees
Element x y z (fractional)
Li1 0.000 0.000 0.000
Li2 0.010 0.561 0.976
Li3 0.123 0.258 0.503
Li4 0.187 0.757 0.504
Li5 0.312 0.070 0.977
Li6 0.485 0.809 0.417
Li7 0.795 0.739 0.927
Li8 0.820 0.311 0.414
Mn1 0.124 0.381 0.784
Mn2 0.194 0.885 0.782
Mn3 0.334 0.341 0.286
Mn4 0.485 0.945 0.631
Mn5 0.618 0.414 0.124
Mn6 0.681 0.925 0.120
Mn7 0.824 0.445 0.630
-- stop --

Product Certification Body

PfBcert develops and maintains various product certification programmes within the framework of the existing certification system, which create confidence with regard to the fulfilment of specified requirements for the construction product.

Manufacturers can access the following certification schemes to mark their products with the ce mark according to the associated declaration of performance after successful certification.

  1. certification of burglar-resistant building elements and retrofit products, locks and building hardware, as well as windows and doors in the voluntary area.


Certification programme PfB-ZE 1 – Burglar-resistant building elements and retrofit products according to DIN EN 1627, DIN 18104-1, DIN 18104-2, (DIN V ENV 1627), (DIN 18106), DIN/TS 18194


Certification scheme PfB-ZE 3 – lever handles and security fittings according to EN 1906


Certification scheme PfB-ZE 6 – Windows and external doors according to DIN EN 14351-1 (voluntary certification for products in AVCP system 3 – without fire and/or smoke protection properties)
PfB-ZE 8


Certification scheme PfB-ZE 8 – Doors, French windows, gates, openings in buildings in accordance with DIN 18040-1, DIN 18040-2 and DIN 18040-3 – Accessibility.
  1. Certification of locks and building hardware as well as windows, doors and gates in the area of the EU-BauPVO


Certification scheme PfB-ZE 2 – Locks according to DIN EN 12209


Certification scheme PfB-ZE 4 – External doors with capability for release according to EN 14351-1

These data records were left in the piece by mistake
-- begin --
# 1
Here is crystalline BeBO3 at its relaxed geometry from the Materials Project. Energies are from GGA-PBE.

Cell and atoms, written as POSCAR:
```
BeBO3
1.0
-1.2580 -2.5695 -1.5729
1.8970 0.6486 -2.5768
2.3404 -1.9068 1.2430
O B Be
3 1 1
Cartesian
2.1187 -0.6291 -0.6669
0.5412 -2.2382 -0.1649
0.3195 -0.9604 -2.0748
1.4897 -1.9139 -1.4533
0.0000 0.0000 0.0000
```

Computed properties:
**Energy of formation from the pure elements**: -482.7 kJ/mol of formula units
**Symmetry**: No. 221
**Magnetization**: 0.00 μB/cell

---

# 2
Here is crystalline RbBe2B3O7 at its relaxed geometry from the Materials Project. Energies are from GGA-PBE.

Cell and atoms, written as POSCAR:
```
RbBe2B3O7
1.0
-0.7342 2.1383 3.8153
-4.9844 -5.5464 2.1493
13.4201 -9.0863 7.6750
Be Rb O B
8 4 28 12
Cartesian
-1.3848 -1.3696 2.3465
5.0096 -4.6556 8.3730
1.7984 -7.7626 6.9189
11.4199 -7.8899 11.0424
8.1853 -11.4891 12.4371
3.1450 -6.7305 9.1771
-3.1346 -3.3167 3.1010
4.9182 -4.2911 5.5736
8.6070 -9.5901 9.2234
1.6116 -3.9960 7.4362
8.2915 -4.8788 6.6389
1.3293 0.6185 4.6789
7.9395 -6.4460 10.2415
1.7682 -7.4418 8.5405
6.1789 -3.7828 4.5678
5.9659 -8.6421 11.0925
1.9024 -2.2509 4.1511
3.3945 -7.6903 6.4153
4.0233 -5.9633 7.9526
12.7887 -7.5549 10.1625
6.3535 -8.4994 6.8120
7.1645 -10.5545 11.6770
8.9713 -13.2734 10.2364
3.9721 -1.6059 5.0677
12.4125 -9.4442 8.7525
-0.0664 -2.0187 2.9241
3.9522 -7.9092 9.9421
9.6947 -4.9921 9.6007
6.5051 -5.0684 8.8413
0.1939 -3.8406 4.5496
1.0057 -6.6261 6.0785
-2.1025 -4.2844 3.8021
10.1129 -7.2738 10.4057
4.9519 -5.9574 5.7437
-2.4814 -2.4972 1.8119
5.1953 -3.6284 7.0628
-2.1568 -0.4578 3.4898
-3.7000 -2.1750 4.1553
-1.1084 -5.6011 5.4494
3.4371 -3.9205 5.0301
-1.0259 -4.5331 4.5411
5.8633 -9.8111 6.7195
5.9761 -9.9802 11.5189
-0.3133 -6.4489 6.2240
0.6132 -2.7092 3.8343
13.0387 -8.2347 8.9880
7.4390 -8.0577 6.0400
9.3215 -6.2577 10.0764
4.1535 -6.5626 6.7080
3.0954 -2.6559 4.7542
-3.0088 -1.0095 4.4279
5.7719 -2.3772 7.2511
```

Computed properties:
**Energy of formation from the pure elements**: -3626.0 kJ/mol of formula units
**Symmetry**: No. 31
**Magnetization**: 0.00 μB/cell

---

# 3
Here is crystalline SrBeB2O5 at its relaxed geometry from the Materials Project. Energies are from GGA-PBE.

Cell and atoms, written as POSCAR:
```
SrBeB2O5
1.0
-0.4099 -1.1454 -3.6933
-2.7445 -4.2082 1.6097
-16.3534 6.8805 -0.3190
Be O B Sr
4 20 8 4
Cartesian
-6.2446 -3.1274 -1.3536
-5.0756 1.2443 -0.7921
-14.4322 0.2826 -1.6105
-13.2631 4.6544 -1.0490
-6.8934 -1.6534 1.1410
-12.6144 3.1803 -3.5436
-5.9139 -0.8376 -3.1733
-3.8304 -1.9982 -2.5208
-8.6444 1.2054 -2.2559
-11.9080 1.7192 -1.7870
-5.6211 -1.6458 -0.9082
-6.4743 1.7807 -1.4027
-13.8866 3.1728 -1.4944
-14.5418 5.5262 -0.5781
-7.5998 -0.1922 -0.6156
-4.9660 -3.9992 -1.8245
-15.2477 1.2907 -0.6183
-13.5938 2.3646 0.7707
-4.2601 0.2362 -1.7843
-15.6774 3.5251 0.1182
-16.8670 4.5175 -2.8288
-2.6408 -2.9905 0.4262
-13.0335 -0.2537 -0.9999
-10.8634 0.3216 -0.1467
-7.5687 0.9450 -1.4527
-- stop --


Certification scheme PfB-ZE 5 – Emergency exit and panic exit devices according to DIN EN 179 and panic exit devices according to EN 1125


Certification scheme PfB-ZE 7 – Doors, gates and windows with fire and/or smoke protection properties


Certification scheme PfB-ZE 9 – Interior doors with the ability to release according to DIN EN 14351-2

ATTENTION: Standard not yet harmonised



Certification Programme PfB-ZE 10 – Gates according to DIN EN 13241


Certification program PfB-ZE 11 – curtain walls according to EN 13830


recognised by the DIBt in accordance with the state building code

monitoring and certification body
for fire protection closures according to “General building authority approval/general construction type approval”.

Fire protection is, among other things, an essential basic requirement for buildings and must be fulfilled during normal maintenance over an economically reasonable period of time.

The manufacture of fire protection closures, among other things, places special requirements on manufacturers to comply with § 3 of the Model Building Code:

“Installations shall be arranged, erected, altered and maintained in such a way that

public safety and order, in particular life, health and the natural resources are not endangered”.

In order to guarantee this requirement, the involvement of independent testing, monitoring and certification bodies is prescribed in certain cases.

PfBcert offers applicants and manufacturers monitoring and certification of fire protection closures in accordance with the “General Building Authority Approval / General Construction Type Approval” number: Z-6.20-xxxx of the DIBt.

Data records from another source follow:
____________
Record 1
Compound: La3Co
Source: Materials Project
Functional: GGA-PBE
Structure: relaxed

The calculated total energy is -5.580 eV per atom.

The space group is Pnma (No. 62) and the conventional cell measures 7.0581, 10.0446 and 6.5359 Å, with angles of 90.00, 90.00 and 90.00 degrees. The inequivalent atoms are La at (0.0510, 0.2500, 0.1454), La at (0.1658, 0.0717, 0.6726) and Co at (0.1185, 0.7500, 0.4378).

Record 2
Compound: LaMg6Co
Source: Materials Project
Functional: GGA-PBE
Structure: relaxed

The calculation puts the polymorph energy (0 for the lowest one) at 45 meV/atom. The total magnetization comes out at 0.003 μB per formula unit.

The space group is Amm2 (No. 38) and the conventional cell measures 4.8915, 6.4628 and 11.5198 Å, with angles of 90.00, 90.00 and 90.00 degrees. The inequivalent atoms are La at (0.0000, 0.0000, 0.0000), Mg at (0.0000, 0.0000, 0.4699), Mg at (0.0000, 0.2389, 0.2345), Mg at (0.5000, 0.0000, 0.6383), Mg at (0.5000, 0.2345, 0.3753) and Co at (0.5000, 0.0000, 0.1456).

=====

# 1
This record from Materials Project describes an optimized crystal structure of K3HRhC5N5O. The functional is r2SCAN.

Values from the calculation:
Formation energy from the elements: -418 meV per atom
Size of the total moment: 0.00 μB/f.u.

Cell: 7.681 8.408 8.998 Å, 89.86 100.34 100.55°
Fractional coordinates of all 32 atoms:
K (0.868, 0.684, 0.290)
K (0.320, 0.623, 0.177)
K (0.132, 0.316, 0.710)
K (0.680, 0.377, 0.823)
K (0.305, 0.084, 0.182)
K (0.695, 0.916, 0.818)
N (0.992, 0.223, 0.961)
N (0.409, 0.121, 0.850)
N (0.069, 0.404, 0.347)
N (0.555, 0.413, 0.170)
N (0.445, 0.587, 0.830)
N (0.931, 0.596, 0.653)
N (0.756, 0.160, 0.599)
N (0.244, 0.840, 0.401)
N (0.591, 0.879, 0.150)
N (0.008, 0.777, 0.039)
C (0.060, 0.791, 0.925)
C (0.333, 0.663, 0.795)
C (0.211, 0.830, 0.523)
C (0.793, 0.634, 0.592)
C (0.207, 0.366, 0.408)
C (0.690, 0.998, 0.199)
C (0.667, 0.337, 0.205)
C (0.940, 0.209, 0.075)
C (0.310, 0.002, 0.801)
C (0.789, 0.170, 0.477)
H (0.003, 0.923, 0.673)
H (0.997, 0.077, 0.327)
Rh (0.856, 0.192, 0.271)
Rh (0.144, 0.808, 0.729)
O (0.655, 0.669, 0.527)
O (0.345, 0.331, 0.473)

# 2
This record from Materials Project describes an optimized crystal structure of KHCO3. The functional is r2SCAN.

Values from the calculation:
Formation energy from the elements: -1617 meV per atom
Size of the total moment: 0.01 μB/f.u.

Cell: 5.607 3.652 15.046 Å, 75.60 90.00 90.00°
Fractional coordinates of all 24 atoms:
K (0.525, 0.961, 0.666)
K (0.475, 0.039, 0.334)
K (0.975, 0.961, 0.166)
K (0.025, 0.039, 0.834)
O (0.723, 0.430, 0.923)
O (0.032, 0.709, 0.694)
O (0.468, 0.709, 0.194)
O (0.821, 0.558, 0.581)
O (0.777, 0.430, 0.423)
O (0.532, 0.291, 0.806)
O (0.223, 0.570, 0.577)
O (0.277, 0.570, 0.077)
O (0.968, 0.291, 0.306)
O (0.321, 0.442, 0.919)
O (0.179, 0.442, 0.419)
O (0.679, 0.558, 0.081)
H (0.691, 0.484, 0.985)
H (0.309, 0.516, 0.015)
H (0.809, 0.484, 0.485)
H (0.191, 0.516, 0.515)
C (0.484, 0.615, 0.119)
C (0.984, 0.385, 0.381)
____________

Successful monitoring and certification thus enables the manufacturer to mark his product with the necessary Ü mark (monitoring mark).